[Math] Proof of $\angle$ sum of polygon.


First, I know this question might have been asked by several times, see here, for an example.
Before someone may want to mark it as dulplicate, I would like to calrify what I want to ask.

Mainly, I am asking for a rigorous proof, or why it is rigorous enough?

Notes: I will be considering simple polygon.

Consider the answer of this post by Misha Lavrov,

What makes things worse is that people often work with polygons on a
somewhat intuitive level

I agree with this.

I definitely know that

$$Interior\space\angle\space sum\space of\space a\space N-sided\space polygon=(N-2)180^\circ$$ as every high school text shall states.

Most of the proofs which I have seen about the problem, has a similar idea as the accepted answer of this post.

Main idea of the proof:

For a polygon, we will just select points to join segments, and then we can devide the polygon into several pieces, and by $\angle$ sum of $\triangle$, we can find the $\angle$ sum of the polygon.

This proof is very intuitive, but I don't think it is rigorous enough, as I wonder, can we still connect every vertex to the point, even for a extremely ugly concave polygon, to seperate the polygon, into several $\triangle$s, such that each of the interior $\angle$ of each of the $\triangle$s is in an interior $\angle$ of the polygon and won't be counted twice. For an explaination and example for what I said right above, see below.


For a 'ugly' 23-sided polygon, which I drew 'randomly':enter image description here
As in the image above, I discovered a way to divide the polygon into 21 pieces of $\triangle$, while it sounds to be eligible. However, I don't think this will certainly happen, if the polygon is even more ugly. How to explicitly consider the case, when different $\triangle$ share a same interior $\angle$ in the proof?

Also, as I asked above, can we always find a way to devide it properly? (I think it is important to prove it)

I also considered the way in this post.

For the induction part, asumming the $\angle$ sum formula for polygon is true for $N$-sided polygon. Then, consider any $N+1$-sided polygon, I used to think that we can select $2$ vertex which is saperate by one vertex in middle (can I present it more precisely?), join them together, and we form a $\triangle$ (Do we need to consider whether 'convex'enter image description here or 'concave'enter image description here?). Then we form a $N$-sided polygon, and by the induction hypothesis and $\angle$ sum of $\triangle$, we can prove the formula holds for $N+1$.

But, moreover, do we need to consider this caseenter image description here and/or this caseenter image description here, when the remaining polygon might not be $N$-sided?

TO SUM UP, How can we consider all possible cases and make a rigorous proof? Most importantly, I want a justification of the constructability(I mean whether the graph is constructable/valid, not for the Compass-and-straightedge construction)and generality of a graph, if there is a graph in the proof.

(Records of crystals from another source follow)
........
Below is a relaxed structure of KBeV, with properties calculated at the PBE level.

Properties
ΔH_f (0 K)	1408	meV per atom
distance to the lowest polymorph of the same formula	944	meV/atom
theoretical density	2.6	g/cm3
calculated volume	126.1	Å³/cell

a = 5.1471 Å, b = 5.1471 Å, c = 5.4975 Å
α = 90.00°, β = 90.00°, γ = 120.00°
Space group P6_3/mmc (No. 194)
Inequivalent atoms, fractional coordinates:
K1 0.0000 0.0000 0.0000
Be1 0.3333 0.6667 0.2500
V1 0.3333 0.6667 0.7500



Below is a relaxed structure of KBeV, with properties calculated at the PBE level.

Properties
ΔH_f (0 K)	578	meV per atom
distance to the lowest polymorph of the same formula	115	meV/atom
theoretical density	1.9	g/cm3
calculated volume	169.8	Å³/cell

a = 4.112 Å, b = 4.113 Å, c = 11.023 Å
α = 85.27°, β = 85.25°, γ = 66.24°
Space group P1 (No. 1)
Inequivalent atoms, fractional coordinates:
K1 0.000 0.000 0.000
K2 0.363 0.365 0.378
Be1 0.067 0.064 0.613
Be2 0.592 0.589 0.613
V1 0.099 0.524 0.718
V2 0.527 0.096 0.718



Below is a relaxed structure of KBe2V, with properties calculated at the PBE level.

Properties
ΔH_f (0 K)	1398	meV per atom
distance to the lowest polymorph of the same formula	0	meV/atom
theoretical density	2.5	g/cm3
calculated volume	291.2	Å³/cell

a = 6.628 Å, b = 6.628 Å, c = 6.628 Å
α = 90.00°, β = 90.00°, γ = 90.00°
Space group Fm-3m (No. 225)
Inequivalent atoms, fractional coordinates:
K1 0.000 0.000 0.000
Be1 0.250 0.250 0.250
V1 0.000 0.000 0.500



Below is a relaxed structure of KBeV3, with properties calculated at the PBE level.

Properties
ΔH_f (0 K)	1396	meV per atom
distance to the lowest polymorph of the same formula	0	meV/atom
theoretical density	3.3	g/cm3
calculated volume	102.5	Å³/cell

a = 4.680 Å, b = 4.680 Å, c = 4.680 Å
α = 90.00°, β = 90.00°, γ = 90.00°
Space group Pm-3m (No. 221)
Inequivalent atoms, fractional coordinates:
K1 0.000 0.000 0.000
Be1 0.500 0.500 0.500
V1 0.000 0.500 0.500

----------

(1)
# Sm8Si3NiI4 PBE optimized geometry
data_Sm8Si3NiI4
_chemical_formula_sum 'Sm24 Si9 Ni3 I12'
_symmetry_space_group_name_H-M 'R -3 m'
_symmetry_Int_Tables_number 166
_symmetry_space_group_name_Hall '-R 3 2"'
_cell_length_a 8.5138
_cell_length_b 8.5138
_cell_length_c 22.8556
_cell_angle_alpha 90.00
_cell_angle_beta 90.00
_cell_angle_gamma 120.00
loop_
_atom_site_label
_atom_site_fract_x
_atom_site_fract_y
_atom_site_fract_z
Sm1 0.0000 0.0000 0.2327
Sm2 0.0118 0.5059 0.2307
Si1 0.0000 0.5000 0.5000
Ni1 0.0000 0.0000 0.5000
I1 0.0000 0.0000 0.0000
I2 0.0000 0.5000 0.0000
# ΔE_f (raw) (meV/atom): -835
# Spin magnetization (μB per formula unit): 0.00

=====

(2)
# Cs2AcBe2S4 PBE optimized geometry
data_Cs2AcBe2S4
_chemical_formula_sum 'Cs4 Ac2 Be4 S8'
_symmetry_space_group_name_H-M 'C 1 2/m 1'
_symmetry_Int_Tables_number 12
_cell_length_a 15.6986
_cell_length_b 3.8784
_cell_length_c 8.8037
_cell_angle_alpha 90.00
_cell_angle_beta 114.49
_cell_angle_gamma 90.00
loop_
_symmetry_equiv_pos_as_xyz
'x,y,z'
'-x,-y,-z'
'-x,y,-z'
'x,-y,z'
........
(So much for the records of crystals)

Remember, as I said above, I am looking for a rigorous proof, not an usual one.

Thank you so much for your answer 🙂

NOTES:Does the ways in this help?

Best Answer

The key fact is that every simple polygon, not necessarily convex, can be decomposed into $n-2$ triangles by drawing $n-3$ diagonals. Then the sum of the interior angles of the polygon is equal to the sum of interior angles of all triangles, which is clearly $(n-2)\pi$.

The existence of triangulations for simple polygons follows by induction once we prove the existence of a diagonal. For a proof, see Chapter 1 of Discrete and Computational Geometry by Devadoss and O'Rourke. This chapter is freely available. The picture below from that chapter that captures the gist of the proof:

enter image description here

See also Diagonals: Feature Column from the AMS by Malkevitch.